• Material:
........
Entry 1:
86
Properties=species:S:1:pos:R:3:forces:R:3 method="wB97M-V/def2-TZVPD" fmax_ev_per_a=5.4 total_energy_ev=-46797.7416 lumo_ev=-1.3 smiles=c1ccc(Cc2cccc3nsnc23)cc1.CCCCCC.CCCCCC.CCCCCC gap_ev=7.4
C 0.40196 6.67847 1.55586 2.1 -2.7 -1.6
C 0.20594 5.23289 2.09002 2.4 1.2 -2.9
C 0.99941 4.02640 1.42582 0.3 3.0 -1.1
C 1.95944 4.22679 0.22097 -2.0 3.2 1.3
C 2.78836 3.09039 -0.55080 0.0 0.0 0.8
C 2.40352 1.57875 -0.18849 -1.6 -2.9 0.6
C 0.98436 0.99688 0.01557 4.0 -1.4 0.1
C 0.78438 -0.57494 0.36099 4.2 0.2 -0.3
C 2.01266 -1.52880 0.45348 -1.1 2.8 -0.4
C 3.48011 -0.97540 0.24072 0.0 1.6 -0.4
N 4.75258 -1.66064 0.27119 -2.6 4.0 -0.6
S 5.91480 -0.45478 -0.05636 -3.1 0.4 0.2
N 5.02222 0.98085 -0.27069 -3.5 -3.9 1.1
C 3.62969 0.56478 -0.06673 0.8 -0.1 -0.2
C 2.14146 5.71623 -0.29716 -2.0 -0.6 2.7
C 1.39572 6.91567 0.36662 -0.1 -3.7 0.7
H -0.11628 7.60263 2.01151 0.8 -1.9 -0.7
H -0.52005 5.08263 2.96967 1.4 0.0 -1.6
H 0.84173 2.99251 1.87775 0.3 1.6 -0.8
H 3.89829 3.24051 -0.25106 -1.8 -0.4 -0.5
H 2.74250 3.26434 -1.69663 -0.1 -0.3 1.9
H 0.06628 1.66777 -0.05869 1.5 -1.0 0.1
H -0.28980 -0.96284 0.54173 2.1 0.6 -0.4
H 1.90641 -2.65819 0.67009 0.0 2.2 -0.4
H 2.87875 5.88588 -1.17290 -1.5 -0.2 1.6
H 1.60884 7.95479 -0.07390 -0.5 -1.8 0.9
C 1.98071 0.15660 -3.80558 0.0 0.2 0.1
C 0.87576 -0.75400 -3.28855 0.1 -0.2 -0.2
C 0.35379 -1.73354 -4.34997 -0.1 0.0 0.1
C -0.29340 -1.09310 -5.58300 0.2 0.0 0.0
C -1.47730 -0.17359 -5.29631 -0.1 0.0 -0.1
C -2.65360 -0.88574 -4.64085 -0.1 0.2 0.1
H 1.62365 0.80967 -4.60612 0.1 0.0 0.0
H 2.35010 0.79507 -2.99809 0.0 0.0 -0.1
H 2.82318 -0.42779 -4.18594 0.0 0.0 0.0
H 0.05622 -0.14870 -2.88769 0.0 0.0 0.0
H 1.27137 -1.33025 -2.44560 -0.1 0.0 -0.1
H -0.36203 -2.41436 -3.87678 0.0 0.0 0.0
H 1.18699 -2.36167 -4.68791 0.0 0.0 0.0
H -0.62360 -1.89423 -6.25545 0.0 0.1 0.0
H 0.46387 -0.52997 -6.13847 0.0 0.0 0.0
H -1.81910 0.25575 -6.24458 0.1 0.0 0.1
H -1.16253 0.66984 -4.67352 0.0 0.0 0.0
H -3.00379 -1.71693 -5.25909 0.0 0.0 0.1
H -3.48542 -0.18768 -4.51035 0.0 -0.1 0.0
H -2.38956 -1.27473 -3.65413 0.0 0.0 -0.1
C -6.76702 0.16690 -0.68984 -0.1 0.0 0.2
C -6.56363 1.66543 -0.86591 0.0 0.0 -0.1
C -5.38871 2.01649 -1.78001 0.0 0.1 0.0
C -4.01403 1.55071 -1.29165 0.0 -0.2 -0.1
C -3.59284 2.05753 0.08289 0.1 0.0 -0.1
C -3.46525 3.56785 0.14812 0.0 0.2 0.2
H -5.91169 -0.30078 -0.19588 0.0 0.0 -0.1
H -7.64938 -0.02300 -0.07259 0.1 -0.1 -0.1
H -6.91901 -0.32320 -1.65546 0.0 0.0 0.1
H -6.44078 2.13717 0.11408 0.0 0.0 0.0
H -7.47595 2.09005 -1.29889 0.1 0.0 0.1
H -5.37353 3.10120 -1.93039 0.0 0.0 0.0
H -5.56798 1.57946 -2.76990 0.0 0.0 0.1
H -3.26275 1.86570 -2.02632 0.0 0.0 0.0
H -3.98224 0.45599 -1.28210 0.0 0.0 -0.1
H -2.61950 1.61733 0.32854 -0.1 0.0 0.0
H -4.28885 1.70942 0.85267 0.0 0.0 0.0
H -2.75144 3.92936 -0.59721 -0.1 0.0 0.0
H -3.10501 3.86780 1.13608 0.0 0.1 -0.1
H -4.42359 4.06549 -0.02006 0.1 0.0 0.0
C 4.12589 -2.87053 3.76664 0.2 0.0 0.1
C 3.65358 -4.28717 3.47129 -0.1 0.0 -0.1
C 2.13583 -4.45377 3.56307 0.0 -0.2 0.0
C 1.52674 -4.18227 4.94175 0.0 0.1 0.0
C 2.08092 -5.03580 6.08386 -0.1 0.0 0.0
C 1.83296 -6.52663 5.90108 0.1 -0.1 0.1
H 3.89913 -2.57597 4.79444 0.0 0.0 -0.1
H 5.20890 -2.80024 3.63382 -0.1 0.1 0.0
H 3.65546 -2.15251 3.08921 0.0 0.0 0.1
H 4.15731 -4.98997 4.14237 -0.1 0.0 0.0
H 3.96880 -4.55241 2.45604 0.0 0.0 0.1
H 1.87457 -5.46812 3.24274 0.0 0.0 0.0
H 1.66164 -3.77957 2.83920 0.0 0.0 0.1
H 0.44325 -4.33975 4.87592 0.1 0.0 0.0
H 1.66029 -3.12571 5.19654 0.0 0.0 0.0
H 1.60160 -4.71646 7.01584 0.1 0.0 -0.1
H 3.15259 -4.85408 6.21233 0.0 0.0 0.0
H 0.76472 -6.73556 5.79648 0.1 0.0 0.0
H 2.20101 -7.07847 6.77044 -0.1 0.0 -0.1
H 2.34945 -6.91613 5.02023 -0.1 0.0 0.0

***

Entry 2:
101
Properties=species:S:1:pos:R:3:forces:R:3 method="wB97M-V/def2-TZVPD" fmax_ev_per_a=0.5 total_energy_ev=-142290.4337 lumo_ev=-1.7 gap_ev=5.0 relative_energy_kj_mol=493.3
Sc -0.18934 -0.15747 2.24057 0.0 -0.3 0.3
N -1.59543 -2.08700 2.22299 0.1 -0.1 0.0
C -2.78533 -1.72732 1.44141 0.0 0.0 0.0
........

• Exercise:
Retype the whole of the listing further up character by character.

• Result:
Entry 1:
86
Properties=species:S:1:pos:R:3:forces:R:3 method="wB97M-V/def2-TZVPD" fmax_ev_per_a=5.4 total_energy_ev=-46797.7416 lumo_ev=-1.3 smiles=c1ccc(Cc2cccc3nsnc23)cc1.CCCCCC.CCCCCC.CCCCCC gap_ev=7.4
C 0.40196 6.67847 1.55586 2.1 -2.7 -1.6
C 0.20594 5.23289 2.09002 2.4 1.2 -2.9
C 0.99941 4.02640 1.42582 0.3 3.0 -1.1
C 1.95944 4.22679 0.22097 -2.0 3.2 1.3
C 2.78836 3.09039 -0.55080 0.0 0.0 0.8
C 2.40352 1.57875 -0.18849 -1.6 -2.9 0.6
C 0.98436 0.99688 0.01557 4.0 -1.4 0.1
C 0.78438 -0.57494 0.36099 4.2 0.2 -0.3
C 2.01266 -1.52880 0.45348 -1.1 2.8 -0.4
C 3.48011 -0.97540 0.24072 0.0 1.6 -0.4
N 4.75258 -1.66064 0.27119 -2.6 4.0 -0.6
S 5.91480 -0.45478 -0.05636 -3.1 0.4 0.2
N 5.02222 0.98085 -0.27069 -3.5 -3.9 1.1
C 3.62969 0.56478 -0.06673 0.8 -0.1 -0.2
C 2.14146 5.71623 -0.29716 -2.0 -0.6 2.7
C 1.39572 6.91567 0.36662 -0.1 -3.7 0.7
H -0.11628 7.60263 2.01151 0.8 -1.9 -0.7
H -0.52005 5.08263 2.96967 1.4 0.0 -1.6
H 0.84173 2.99251 1.87775 0.3 1.6 -0.8
H 3.89829 3.24051 -0.25106 -1.8 -0.4 -0.5
H 2.74250 3.26434 -1.69663 -0.1 -0.3 1.9
H 0.06628 1.66777 -0.05869 1.5 -1.0 0.1
H -0.28980 -0.96284 0.54173 2.1 0.6 -0.4
H 1.90641 -2.65819 0.67009 0.0 2.2 -0.4
H 2.87875 5.88588 -1.17290 -1.5 -0.2 1.6
H 1.60884 7.95479 -0.07390 -0.5 -1.8 0.9
C 1.98071 0.15660 -3.80558 0.0 0.2 0.1
C 0.87576 -0.75400 -3.28855 0.1 -0.2 -0.2
C 0.35379 -1.73354 -4.34997 -0.1 0.0 0.1
C -0.29340 -1.09310 -5.58300 0.2 0.0 0.0
C -1.47730 -0.17359 -5.29631 -0.1 0.0 -0.1
C -2.65360 -0.88574 -4.64085 -0.1 0.2 0.1
H 1.62365 0.80967 -4.60612 0.1 0.0 0.0
H 2.35010 0.79507 -2.99809 0.0 0.0 -0.1
H 2.82318 -0.42779 -4.18594 0.0 0.0 0.0
H 0.05622 -0.14870 -2.88769 0.0 0.0 0.0
H 1.27137 -1.33025 -2.44560 -0.1 0.0 -0.1
H -0.36203 -2.41436 -3.87678 0.0 0.0 0.0
H 1.18699 -2.36167 -4.68791 0.0 0.0 0.0
H -0.62360 -1.89423 -6.25545 0.0 0.1 0.0
H 0.46387 -0.52997 -6.13847 0.0 0.0 0.0
H -1.81910 0.25575 -6.24458 0.1 0.0 0.1
H -1.16253 0.66984 -4.67352 0.0 0.0 0.0
H -3.00379 -1.71693 -5.25909 0.0 0.0 0.1
H -3.48542 -0.18768 -4.51035 0.0 -0.1 0.0
H -2.38956 -1.27473 -3.65413 0.0 0.0 -0.1
C -6.76702 0.16690 -0.68984 -0.1 0.0 0.2
C -6.56363 1.66543 -0.86591 0.0 0.0 -0.1
C -5.38871 2.01649 -1.78001 0.0 0.1 0.0
C -4.01403 1.55071 -1.29165 0.0 -0.2 -0.1
C -3.59284 2.05753 0.08289 0.1 0.0 -0.1
C -3.46525 3.56785 0.14812 0.0 0.2 0.2
H -5.91169 -0.30078 -0.19588 0.0 0.0 -0.1
H -7.64938 -0.02300 -0.07259 0.1 -0.1 -0.1
H -6.91901 -0.32320 -1.65546 0.0 0.0 0.1
H -6.44078 2.13717 0.11408 0.0 0.0 0.0
H -7.47595 2.09005 -1.29889 0.1 0.0 0.1
H -5.37353 3.10120 -1.93039 0.0 0.0 0.0
H -5.56798 1.57946 -2.76990 0.0 0.0 0.1
H -3.26275 1.86570 -2.02632 0.0 0.0 0.0
H -3.98224 0.45599 -1.28210 0.0 0.0 -0.1
H -2.61950 1.61733 0.32854 -0.1 0.0 0.0
H -4.28885 1.70942 0.85267 0.0 0.0 0.0
H -2.75144 3.92936 -0.59721 -0.1 0.0 0.0
H -3.10501 3.86780 1.13608 0.0 0.1 -0.1
H -4.42359 4.06549 -0.02006 0.1 0.0 0.0
C 4.12589 -2.87053 3.76664 0.2 0.0 0.1
C 3.65358 -4.28717 3.47129 -0.1 0.0 -0.1
C 2.13583 -4.45377 3.56307 0.0 -0.2 0.0
C 1.52674 -4.18227 4.94175 0.0 0.1 0.0
C 2.08092 -5.03580 6.08386 -0.1 0.0 0.0
C 1.83296 -6.52663 5.90108 0.1 -0.1 0.1
H 3.89913 -2.57597 4.79444 0.0 0.0 -0.1
H 5.20890 -2.80024 3.63382 -0.1 0.1 0.0
H 3.65546 -2.15251 3.08921 0.0 0.0 0.1
H 4.15731 -4.98997 4.14237 -0.1 0.0 0.0
H 3.96880 -4.55241 2.45604 0.0 0.0 0.1
H 1.87457 -5.46812 3.24274 0.0 0.0 0.0
H 1.66164 -3.77957 2.83920 0.0 0.0 0.1
H 0.44325 -4.33975 4.87592 0.1 0.0 0.0
H 1.66029 -3.12571 5.19654 0.0 0.0 0.0
H 1.60160 -4.71646 7.01584 0.1 0.0 -0.1
H 3.15259 -4.85408 6.21233 0.0 0.0 0.0
H 0.76472 -6.73556 5.79648 0.1 0.0 0.0
H 2.20101 -7.07847 6.77044 -0.1 0.0 -0.1
H 2.34945 -6.91613 5.02023 -0.1 0.0 0.0

***

Entry 2:
101
Properties=species:S:1:pos:R:3:forces:R:3 method="wB97M-V/def2-TZVPD" fmax_ev_per_a=0.5 total_energy_ev=-142290.4337 lumo_ev=-1.7 gap_ev=5.0 relative_energy_kj_mol=493.3
Sc -0.18934 -0.15747 2.24057 0.0 -0.3 0.3
N -1.59543 -2.08700 2.22299 0.1 -0.1 0.0
C -2.78533 -1.72732 1.44141 0.0 0.0 0.0